### Job
Reproduce the material further down word for word.

### File
┌──
# 1
! ZrBeCdPt GGA-PBE optimized geometry; values from VASP
! space group: No. 216
! excess energy over the best structure of this formula in the dataset: 71.0 meV/atom
! calculated total energy: -5.11 eV per atom
&SYSTEM
  ibrav = 0, nat = 4, ntyp = 4
/
ATOMIC_SPECIES
Cd 112.41 Cd.upf
Be 9.01 Be.upf
Zr 91.22 Zr.upf
Pt 195.08 Pt.upf
ATOMIC_POSITIONS crystal
Cd 0.0000 0.0000 0.0000
Be 0.7500 0.7500 0.7500
Zr 0.2500 0.2500 0.2500
Pt 0.5000 0.5000 0.5000
CELL_PARAMETERS angstrom
0.0000 3.2322 3.2322
3.2322 0.0000 3.2322
3.2322 3.2322 0.0000

---

# 2
! Rb2Be6Cd GGA-PBE optimized geometry; values from VASP
! space group: No. 12
! calculated total energy: -2.45 eV per atom
&SYSTEM
  ibrav = 0, nat = 9, ntyp = 3
/
ATOMIC_SPECIES
Be 9.01 Be.upf
Cd 112.41 Cd.upf
Rb 85.47 Rb.upf
ATOMIC_POSITIONS crystal
Be 0.0797 0.0797 0.1843
Be 0.7916 0.7916 0.5585
Be 0.6454 0.6454 0.3083
Be 0.9203 0.9203 0.8157
Be 0.3546 0.3546 0.6917
Be 0.2084 0.2084 0.4415
Cd 0.5000 0.5000 0.0000
Rb 0.3656 0.3656 0.2612
Rb 0.6344 0.6344 0.7388
CELL_PARAMETERS angstrom
-5.7689 3.2661 1.5276
-4.8786 1.1540 4.5987
8.0537 4.4636 0.7352

---

# 3
! Be2CdRe GGA-PBE optimized geometry; values from VASP
! space group: No. 216
! calculated total energy: -4.35 eV per atom
&SYSTEM
  ibrav = 0, nat = 4, ntyp = 3
/
ATOMIC_SPECIES
Cd 112.41 Cd.upf
Be 9.01 Be.upf
Re 186.21 Re.upf
ATOMIC_POSITIONS crystal
Cd 0.7500 0.7500 0.7500
Be 0.2500 0.2500 0.2500
Be 0.5000 0.5000 0.5000
Re 0.0000 0.0000 0.0000
CELL_PARAMETERS angstrom
-2.5966 -2.9597 -1.6221
-2.7438 -2.0452 2.5342
-4.1753 0.7740 -0.3182

---

# 4
! BeCd2Re GGA-PBE optimized geometry; values from VASP
! space group: No. 216
! calculated total energy: -3.67 eV per atom
&SYSTEM
  ibrav = 0, nat = 4, ntyp = 3
/
ATOMIC_SPECIES
Cd 112.41 Cd.upf
Re 186.21 Re.upf
Be 9.01 Be.upf
ATOMIC_POSITIONS crystal
Cd 0.7500 0.7500 0.7500
Cd 0.0000 0.0000 0.0000
Re 0.2500 0.2500 0.2500
Be 0.5000 0.5000 0.5000
CELL_PARAMETERS angstrom
0.0000 3.1784 3.1784
3.1784 0.0000 3.1784
3.1784 3.1784 0.0000

---

# 5
! BeCdReTc GGA-PBE optimized geometry; values from VASP
! space group: No. 216
! excess energy over the best structure of this formula in the dataset: 0.0 meV/atom
! calculated total energy: -6.46 eV per atom
&SYSTEM
  ibrav = 0, nat = 4, ntyp = 4
/
ATOMIC_SPECIES
Cd 112.41 Cd.upf
Re 186.21 Re.upf
Tc 98.00 Tc.upf
Be 9.01 Be.upf
ATOMIC_POSITIONS crystal
Cd 0.0000 0.0000 0.0000
Re 0.5000 0.5000 0.5000
Tc 0.2500 0.2500 0.2500
Be 0.7500 0.7500 0.7500
CELL_PARAMETERS angstrom
0.0000 3.0719 3.0719
3.0719 0.0000 3.0719
3.0719 3.0719 0.0000

---

# 6
! BeCdS2 GGA-PBE optimized geometry; values from VASP
! space group: No. 115
! calculated total energy: -3.98 eV per atom
&SYSTEM
  ibrav = 0, nat = 4, ntyp = 3
/
ATOMIC_SPECIES
Cd 112.41 Cd.upf
Be 9.01 Be.upf
S 32.06 S.upf
ATOMIC_POSITIONS crystal
Cd 0.5000 0.5000 0.0000
Be 0.0000 0.0000 0.5000
S 0.5000 0.0000 0.3037
S 0.0000 0.5000 0.6963
CELL_PARAMETERS angstrom
3.7166 0.0000 0.0000
0.0000 3.7166 0.0000
0.0000 0.0000 5.6423

---

# 7
! Be2CdSb GGA-PBE optimized geometry; values from VASP
! space group: No. 216
! excess energy over the best structure of this formula in the dataset: 415.8 meV/atom
! calculated total energy: -2.27 eV per atom
&SYSTEM
  ibrav = 0, nat = 4, ntyp = 3
/
ATOMIC_SPECIES
Be 9.01 Be.upf
Sb 121.76 Sb.upf
Cd 112.41 Cd.upf
ATOMIC_POSITIONS crystal
Be 0.0000 0.0000 0.0000
Be 0.7500 0.7500 0.7500
Sb 0.5000 0.5000 0.5000
Cd 0.2500 0.2500 0.2500
CELL_PARAMETERS angstrom
0.4060 -3.9046 2.5706
-3.3865 -1.1792 3.0265
-2.7588 -3.6906 -0.8873

---

# 8
! Be2CdSb GGA-PBE optimized geometry; values from VASP
! space group: No. 5
! excess energy over the best structure of this formula in the dataset: 0.0 meV/atom
! calculated total energy: -2.69 eV per atom
&SYSTEM
  ibrav = 0, nat = 8, ntyp = 3
/
ATOMIC_SPECIES
Be 9.01 Be.upf
Sb 121.76 Sb.upf
Cd 112.41 Cd.upf
ATOMIC_POSITIONS crystal
Be 0.4048 0.4652 0.6111
Be 0.7432 0.1826 0.1304
Be 0.5348 0.5952 0.3889
Be 0.8174 0.2568 0.8696
└──

### Outcome
# 1
! ZrBeCdPt GGA-PBE optimized geometry; values from VASP
! space group: No. 216
! excess energy over the best structure of this formula in the dataset: 71.0 meV/atom
! calculated total energy: -5.11 eV per atom
&SYSTEM
  ibrav = 0, nat = 4, ntyp = 4
/
ATOMIC_SPECIES
Cd 112.41 Cd.upf
Be 9.01 Be.upf
Zr 91.22 Zr.upf
Pt 195.08 Pt.upf
ATOMIC_POSITIONS crystal
Cd 0.0000 0.0000 0.0000
Be 0.7500 0.7500 0.7500
Zr 0.2500 0.2500 0.2500
Pt 0.5000 0.5000 0.5000
CELL_PARAMETERS angstrom
0.0000 3.2322 3.2322
3.2322 0.0000 3.2322
3.2322 3.2322 0.0000

---

# 2
! Rb2Be6Cd GGA-PBE optimized geometry; values from VASP
! space group: No. 12
! calculated total energy: -2.45 eV per atom
&SYSTEM
  ibrav = 0, nat = 9, ntyp = 3
/
ATOMIC_SPECIES
Be 9.01 Be.upf
Cd 112.41 Cd.upf
Rb 85.47 Rb.upf
ATOMIC_POSITIONS crystal
Be 0.0797 0.0797 0.1843
Be 0.7916 0.7916 0.5585
Be 0.6454 0.6454 0.3083
Be 0.9203 0.9203 0.8157
Be 0.3546 0.3546 0.6917
Be 0.2084 0.2084 0.4415
Cd 0.5000 0.5000 0.0000
Rb 0.3656 0.3656 0.2612
Rb 0.6344 0.6344 0.7388
CELL_PARAMETERS angstrom
-5.7689 3.2661 1.5276
-4.8786 1.1540 4.5987
8.0537 4.4636 0.7352

---

# 3
! Be2CdRe GGA-PBE optimized geometry; values from VASP
! space group: No. 216
! calculated total energy: -4.35 eV per atom
&SYSTEM
  ibrav = 0, nat = 4, ntyp = 3
/
ATOMIC_SPECIES
Cd 112.41 Cd.upf
Be 9.01 Be.upf
Re 186.21 Re.upf
ATOMIC_POSITIONS crystal
Cd 0.7500 0.7500 0.7500
Be 0.2500 0.2500 0.2500
Be 0.5000 0.5000 0.5000
Re 0.0000 0.0000 0.0000
CELL_PARAMETERS angstrom
-2.5966 -2.9597 -1.6221
-2.7438 -2.0452 2.5342
-4.1753 0.7740 -0.3182

---

# 4
! BeCd2Re GGA-PBE optimized geometry; values from VASP
! space group: No. 216
! calculated total energy: -3.67 eV per atom
&SYSTEM
  ibrav = 0, nat = 4, ntyp = 3
/
ATOMIC_SPECIES
Cd 112.41 Cd.upf
Re 186.21 Re.upf
Be 9.01 Be.upf
ATOMIC_POSITIONS crystal
Cd 0.7500 0.7500 0.7500
Cd 0.0000 0.0000 0.0000
Re 0.2500 0.2500 0.2500
Be 0.5000 0.5000 0.5000
CELL_PARAMETERS angstrom
0.0000 3.1784 3.1784
3.1784 0.0000 3.1784
3.1784 3.1784 0.0000

---

# 5
! BeCdReTc GGA-PBE optimized geometry; values from VASP
! space group: No. 216
! excess energy over the best structure of this formula in the dataset: 0.0 meV/atom
! calculated total energy: -6.46 eV per atom
&SYSTEM
  ibrav = 0, nat = 4, ntyp = 4
/
ATOMIC_SPECIES
Cd 112.41 Cd.upf
Re 186.21 Re.upf
Tc 98.00 Tc.upf
Be 9.01 Be.upf
ATOMIC_POSITIONS crystal
Cd 0.0000 0.0000 0.0000
Re 0.5000 0.5000 0.5000
Tc 0.2500 0.2500 0.2500
Be 0.7500 0.7500 0.7500
CELL_PARAMETERS angstrom
0.0000 3.0719 3.0719
3.0719 0.0000 3.0719
3.0719 3.0719 0.0000

---

# 6
! BeCdS2 GGA-PBE optimized geometry; values from VASP
! space group: No. 115
! calculated total energy: -3.98 eV per atom
&SYSTEM
  ibrav = 0, nat = 4, ntyp = 3
/
ATOMIC_SPECIES
Cd 112.41 Cd.upf
Be 9.01 Be.upf
S 32.06 S.upf
ATOMIC_POSITIONS crystal
Cd 0.5000 0.5000 0.0000
Be 0.0000 0.0000 0.5000
S 0.5000 0.0000 0.3037
S 0.0000 0.5000 0.6963
CELL_PARAMETERS angstrom
3.7166 0.0000 0.0000
0.0000 3.7166 0.0000
0.0000 0.0000 5.6423

---

# 7
! Be2CdSb GGA-PBE optimized geometry; values from VASP
! space group: No. 216
! excess energy over the best structure of this formula in the dataset: 415.8 meV/atom
! calculated total energy: -2.27 eV per atom
&SYSTEM
  ibrav = 0, nat = 4, ntyp = 3
/
ATOMIC_SPECIES
Be 9.01 Be.upf
Sb 121.76 Sb.upf
Cd 112.41 Cd.upf
ATOMIC_POSITIONS crystal
Be 0.0000 0.0000 0.0000
Be 0.7500 0.7500 0.7500
Sb 0.5000 0.5000 0.5000
Cd 0.2500 0.2500 0.2500
CELL_PARAMETERS angstrom
0.4060 -3.9046 2.5706
-3.3865 -1.1792 3.0265
-2.7588 -3.6906 -0.8873

---

# 8
! Be2CdSb GGA-PBE optimized geometry; values from VASP
! space group: No. 5
! excess energy over the best structure of this formula in the dataset: 0.0 meV/atom
! calculated total energy: -2.69 eV per atom
&SYSTEM
  ibrav = 0, nat = 8, ntyp = 3
/
ATOMIC_SPECIES
Be 9.01 Be.upf
Sb 121.76 Sb.upf
Cd 112.41 Cd.upf
ATOMIC_POSITIONS crystal
Be 0.4048 0.4652 0.6111
Be 0.7432 0.1826 0.1304
Be 0.5348 0.5952 0.3889
Be 0.8174 0.2568 0.8696